# Data
+++
Entry 1:
GGA-PBE Co2RhCl, optimized geometry; density = 7.2 g cm⁻³; DFT total energy = -5.6287 eV per atom; excess energy over the best structure of this formula in the dataset = 0.0 kJ per mole of atoms; formation energy without anion corrections = 0.224 eV/atom; symmetry = No. 6; calculated volume = 59.2 Å³ per cell
1.0
2.8342 0.0000 0.0000
0.0000 3.0833 0.0329
0.0000 -0.0784 6.7749
Co Cl Rh
2 1 1
Direct
0.5000 0.2505 0.2344 Co
0.0000 0.7500 0.0471 Co
0.5000 0.7486 0.7709 Cl
0.0000 0.7509 0.4476 Rh

***

Entry 2:
GGA-PBE La9Ce3Si8S32I4, optimized geometry; density = 4.1 g cm⁻³; DFT total energy = -5.8641 eV per atom; formation energy without anion corrections = -1.510 eV/atom; symmetry = No. 1; calculated volume = 1402.4 Å³ per cell
1.0
9.0191 0.0079 0.0348
4.2366 12.6959 0.0015
2.2055 5.3881 12.2528
Si S Ce La I
8 32 3 9 4
Direct
0.7946 0.8845 0.5834 Si
0.0064 0.6723 0.2963 Si
0.7069 0.6146 0.9167 Si
0.9934 0.3280 0.7043 Si
0.5053 0.1727 0.7959 Si
0.4926 0.8282 0.2044 Si
0.2065 0.1147 0.4165 Si
0.2931 0.3854 0.0820 Si
0.0224 0.2692 0.3803 S
0.3424 0.5172 0.9341 S
0.2541 0.8858 0.1634 S
0.9839 0.7239 0.1271 S
0.7456 0.9535 0.7041 S
0.4843 0.2240 0.6266 S
0.0156 0.2760 0.8736 S
0.7564 0.5462 0.7955 S
0.6545 0.4832 0.0640 S
0.4040 0.0327 0.8832 S
0.4770 0.2308 0.1187 S
0.5161 0.7758 0.3736 S
0.3937 0.3037 0.8544 S
0.5227 0.7690 0.8802 S
0.5938 0.9687 0.1171 S
0.1039 0.1968 0.6459 S
0.4139 0.1485 0.4364 S
0.1558 0.9829 0.5641 S
0.2457 0.6165 0.3352 S
0.9046 0.5325 0.3837 S
0.7550 0.3857 0.6631 S
0.8448 0.0166 0.4359 S
0.5881 0.8492 0.5643 S
0.2541 0.0470 0.2950 S
0.2451 0.4535 0.2033 S
0.7442 0.1173 0.8357 S
0.0864 0.3501 0.0628 S
0.9787 0.7300 0.6205 S
0.9148 0.6479 0.9362 S
0.8961 0.8026 0.3556 S
0.0951 0.4684 0.6186 S
0.6034 0.6969 0.1460 S
0.7712 0.6287 0.5539 Ce
0.1035 0.4970 0.8205 Ce
0.2693 0.1296 0.0526 Ce
0.1717 0.8292 0.4213 La
0.7324 0.8711 0.9474 La
0.2326 0.3713 0.4474 La
0.8292 0.1706 0.5792 La
0.8948 0.5006 0.1811 La
0.3955 0.0004 0.6810 La
0.6704 0.3296 0.9199 La
0.6049 0.9985 0.3195 La
0.3288 0.6708 0.0791 La
0.8809 0.1197 0.1303 I
0.1189 0.8808 0.8691 I
0.6192 0.3807 0.3689 I
0.3817 0.6189 0.6310 I

***

Q: Look up the DFT total energy of the first one.
A: -5.6287 eV per atom

~~~~~

Here is a relaxed structure of RbCoBr2 from Alexandria. Energies are from PBE-GGA.

Summary:
The calculated volume comes out at 200 Å³/cell. Its uncorrected formation energy is -0.596 eV per atom. As for the energy relative to the lowest polymorph listed for this composition: 64 meV per atom. As for the total DFT energy (no corrections): -3.451 eV/atom. For the density of states at the Fermi level, the calculation gives 0.0 states/eV/f.u.

The structure in CIF format:
```
data_RbCoBr2
_chemical_formula_sum 'Rb1 Co1 Br2'
_symmetry_space_group_name_H-M 'P 1'
_symmetry_Int_Tables_number 1
_cell_length_a 8.0970
_cell_length_b 8.0970
_cell_length_c 8.0970
_cell_angle_alpha 40.25
_cell_angle_beta 40.25
_cell_angle_gamma 40.25
loop_
_symmetry_equiv_pos_as_xyz
'x,y,z'
loop_
_atom_site_label
_atom_site_fract_x
_atom_site_fract_y
_atom_site_fract_z
_atom_site_occupancy
Rb1 0.0000 0.0000 0.0000 1
Co1 0.5000 0.5000 0.5000 1
Br1 0.3977 0.3977 0.3977 1
Br2 0.6023 0.6023 0.6023 1
```

~~~~~

[1]
Mg2OsAu at its PBEsol-relaxed geometry, computed with SCAN.

POSCAR file:
```
Mg2OsAu
1.0
2.929 -3.911 0.000
2.929 3.911 0.000
0.000 0.000 2.786
Mg Os Au
2 1 1
Direct
0.000 0.500 0.000 Mg
0.500 0.000 0.000 Mg
0.000 0.000 0.500 Os
0.500 0.500 0.500 Au
```

Values from the calculation:
E_form: -0.69 eV/f.u.
E: -37.918 eV/atom
space group: Cmmm (65)



[2]
ZnCdRe2 at its PBEsol-relaxed geometry, computed with SCAN.

POSCAR file:
```
ZnCdRe2
1.0
-1.502 2.204 4.619
1.502 -2.204 4.619
1.502 2.204 -4.619
Zn Cd Re
1 1 2
Direct
0.000 0.000 0.000 Zn
0.500 0.500 0.000 Cd
0.238 0.738 0.500 Re
0.762 0.262 0.500 Re
```

Values from the calculation:
ΔE to the lowest computed polymorph: 11 meV/atom
E_form: 1.86 eV/f.u.
E: -46.066 eV/atom
space group: Immm (71)



[3]
+++

# To do
Could you filter the data above: keep the lines with the word "one"?

# Response
Q: Look up the DFT total energy of the first one.